
DEFINITION: Entrepreneurship is the undertaking of business ventures, especially new kinds of ventures or traditional ventures that operate in novel ways.

ETYMOLOGY: The English word “entrepreneur” is a direct borrowing from French, which occurred sometime during the nineteenth century, most likely from the writings of Jean-Baptiste Say.

The French noun “entrepreneur,” originally meaning “supplier,” contractor,” or “businessman,” the adjective “entreprenant,” meaning “enterprising,” and the verb “entreprendre,” meaning “to undertake,” all derive from the French preposition entre, meaning “between,” and the verb “prendre,” meaning “to take.”

The French word “entre,” in turn, derives from the Latin preposition “inter,” meaning “between,” while the French “prendre” derives from the Latin verb “prehendo,” meaning “to lay hold of,” “to seize,” or “to grasp.”

_Materials data, kept here for reference_
'''
Model one:
# Li7V3P8O29 (GGA+U, relaxed)
data_Li7V3P8O29
_space_group_name_H-M_alt 'P 1'
_space_group_IT_number 1
_cell_length_a 9.844
_cell_length_b 9.871
_cell_length_c 13.959
_cell_angle_alpha 89.18
_cell_angle_beta 89.22
_cell_angle_gamma 60.23
loop_
_space_group_symop_operation_xyz
'x,y,z'
loop_
_atom_site_label
_atom_site_type_symbol
_atom_site_fract_x
_atom_site_fract_y
_atom_site_fract_z
_atom_site_occupancy
Li1 Li 0.000 0.000 0.000 1
Li2 Li 0.002 0.000 0.498 1
Li3 Li 0.092 0.640 0.823 1
Li4 Li 0.234 0.645 0.324 1
Li5 Li 0.240 0.312 0.362 1
Li6 Li 0.317 0.231 0.864 1
Li7 Li 0.418 0.548 0.941 1
Li8 Li 0.432 0.987 0.451 1
Li9 Li 0.555 0.416 0.445 1
Li10 Li 0.572 0.972 0.946 1
Li11 Li 0.641 0.090 0.323 1
Li12 Li 0.645 0.231 0.822 1
Li13 Li 0.983 0.564 0.447 1
Li14 Li 0.997 0.424 0.954 1
V1 V 0.323 0.889 0.640 1
V2 V 0.328 0.759 0.139 1
V3 V 0.763 0.887 0.139 1
V4 V 0.764 0.321 0.638 1
V5 V 0.891 0.756 0.638 1
V6 V 0.894 0.319 0.140 1
P1 P 0.012 0.406 0.736 1
P2 P 0.013 0.549 0.228 1
P3 P 0.099 0.648 0.044 1
P4 P 0.108 0.235 0.550 1
P5 P 0.234 0.644 0.542 1
P6 P 0.242 0.100 0.050 1
P7 P 0.410 0.008 0.236 1
P8 P 0.410 0.550 0.727 1
P9 P 0.552 0.407 0.227 1
P10 P 0.554 0.006 0.727 1
P11 P 0.648 0.229 0.042 1
P12 P 0.652 0.091 0.543 1
P13 P 0.658 0.659 0.516 1
P14 P 0.659 0.660 0.016 1
P15 P 0.993 0.981 0.759 1
P16 P 0.995 0.982 0.259 1
O1 O 0.001 0.969 0.867 1
O2 O 0.002 0.124 0.220 1
O3 O 0.002 0.828 0.718 1
O4 O 0.071 0.659 0.541 1
O5 O 0.078 0.242 0.042 1
O6 O 0.081 0.570 0.957 1
O7 O 0.099 0.336 0.829 1
O8 O 0.104 0.542 0.318 1
O9 O 0.110 0.340 0.471 1
O10 O 0.121 0.540 0.136 1
O11 O 0.128 0.303 0.650 1
O12 O 0.138 0.829 0.214 1
O13 O 0.138 0.986 0.713 1
O14 O 0.215 0.808 0.557 1
O15 O 0.227 0.950 0.059 1
O16 O 0.248 0.663 0.039 1
O17 O 0.253 0.069 0.545 1
O18 O 0.312 0.121 0.149 1
O19 O 0.317 0.555 0.816 1
O20 O 0.321 0.536 0.634 1
O21 O 0.328 0.565 0.453 1
O22 O 0.338 0.092 0.328 1
O23 O 0.349 0.093 0.970 1
O24 O 0.403 0.570 0.225 1
O25 O 0.407 0.854 0.225 1
O26 O 0.413 0.982 0.723 1
O27 O 0.419 0.701 0.714 1
O28 O 0.506 0.808 0.555 1
O29 O 0.512 0.659 0.067 1
O30 O 0.538 0.318 0.133 1
O31 O 0.542 0.100 0.816 1
O32 O 0.543 0.112 0.635 1
O33 O 0.547 0.318 0.316 1
O34 O 0.566 0.321 0.953 1
O35 O 0.571 0.403 0.727 1
O36 O 0.577 0.069 0.455 1
O37 O 0.577 0.984 0.226 1
O38 O 0.630 0.690 0.912 1
O39 O 0.655 0.512 0.553 1
O40 O 0.661 0.066 0.043 1
O41 O 0.665 0.239 0.538 1
O42 O 0.665 0.804 0.061 1
O43 O 0.674 0.668 0.410 1
O44 O 0.700 0.418 0.216 1
O45 O 0.711 0.854 0.722 1
O46 O 0.805 0.661 0.564 1
O47 O 0.808 0.509 0.045 1
O48 O 0.813 0.207 0.056 1
O49 O 0.818 0.948 0.561 1
O50 O 0.838 0.991 0.220 1
O51 O 0.841 0.126 0.724 1
O52 O 0.858 0.409 0.726 1
O53 O 0.859 0.705 0.219 1
O54 O 0.955 0.813 0.061 1
O55 O 0.961 0.218 0.554 1
O56 O 0.994 0.571 0.724 1
O57 O 0.995 0.407 0.224 1
O58 O 0.999 0.961 0.366 1
# V   12.5 Å³ per atom
# Density   2.576 g cm⁻³

=====

Model two:
# Li7V3P8O29 (GGA+U, relaxed)
data_Li7V3P8O29
'''

USAGE: Jean-Baptiste Say greatly admired Adam Smith’s 1776 classic, The Wealth of Nations.

However, Say mentioned that one of the things he found disappointing about the book was its neglect of the creative role of the individual in coming up with new ideas and risking his capital through the act of founding a new enterprise.

In this way, the French word “entrepreneur” was explicitly given its modern meaning.

The word itself, with its new economic connotation of a creator of business firms—or enterprises—was soon adopted by English-speaking economic thinkers, as well.

One might suppose that once the French term was adopted into English, the idea it stands for would become a subject of conscious economic reflection and analysis. However, this did not in fact occur for some time.

One of the first important studies of entrepreneurship was Frank H. Knight’s Risk, Uncertainty, and Profit, published in 1921.

Knight made several important distinctions relevant to enterprises, notably, that between risk and uncertainty.

Risk, on Knight’s telling, refers to processes whose outcomes are known to be structured according to some probability distribution, while uncertainty signifies processes about whose outcomes nothing at all can be predicted.

Knight pointed out that the profit that entrepreneurs realize from creating a successful enterprise may be viewed as just compensation for his willingness to assume responsibility for risk and uncertainty.

Data records from another source follow:
'''
VASP calculation (PBE) on an optimized crystal structure of EuGa2Ge4.

Output
Distance to the lowest polymorph of the same formula ... 0.009 eV/atom
Size of the total moment ... 7.0 μB per formula unit
E_form ... -0.219 eV/atom
VASP energy ... -72.68 eV for the cell shown
Space-group type ... Cmcm (63)

Geometry as POSCAR:
```
EuGa2Ge4
1.0
-0.0717 5.9584 0.3758
-2.8290 -4.2013 -3.1616
-9.2256 -0.6895 9.1713
Eu Ga Ge
2 4 8
Direct
0.7923 0.2077 0.2500 Eu
0.2077 0.7923 0.7500 Eu
0.9369 0.0631 0.6544 Ga
0.0631 0.9369 0.3456 Ga
0.9369 0.0631 0.8456 Ga
0.0631 0.9369 0.1544 Ga
0.5259 0.4741 0.5946 Ge
0.4741 0.5259 0.4054 Ge
0.2520 0.7480 0.4502 Ge
0.4741 0.5259 0.0946 Ge
0.7480 0.2520 0.5498 Ge
0.5259 0.4741 0.9054 Ge
0.2520 0.7480 0.0498 Ge
0.7480 0.2520 0.9502 Ge
```


one | # PBE with a Hubbard U Li5Fe8B8O24, optimized geometry
# Symmetry = P1
# Crystal system = triclinic
# Density = 3.26 g/cm³
data_Li5Fe8B8O24
_cell_length_a 5.2579
_cell_length_b 9.1015
_cell_length_c 11.3447
_cell_angle_alpha 67.05
_cell_angle_beta 77.07
_cell_angle_gamma 89.60
_space_group_name_H-M_alt 'P 1'
_space_group_IT_number 1
_space_group_name_Hall 'P 1'
loop_
_atom_site_label
_atom_site_type_symbol
_atom_site_fract_x
_atom_site_fract_y
_atom_site_fract_z
_atom_site_occupancy
Li1 Li 0.0000 0.0000 0.0000 1
Li2 Li 0.0412 0.0260 0.2628 1
Li3 Li 0.2703 0.2965 0.7463 1
Li4 Li 0.4967 0.4955 0.0159 1
Li5 Li 0.7596 0.7910 0.7573 1
Fe1 Fe 0.0488 0.3834 0.2315 1
Fe2 Fe 0.2575 0.5998 0.4687 1
Fe3 Fe 0.2811 0.9769 0.7239 1
Fe4 Fe 0.4943 0.1768 0.9851 1
Fe5 Fe 0.5606 0.8690 0.2291 1
Fe6 Fe 0.7535 0.1052 0.4740 1
Fe7 Fe 0.7854 0.4676 0.7288 1
Fe8 Fe 0.9975 0.6851 0.9816 1
B1 B 0.0076 0.3520 0.9697 1
B2 B 0.0520 0.7228 0.2230 1
B3 B 0.2615 0.9310 0.4750 1
B4 B 0.2847 0.6358 0.7279 1
B5 B 0.5069 0.8500 0.9701 1
B6 B 0.5409 0.2121 0.2270 1
B7 B 0.7494 0.4269 0.4847 1
B8 B 0.7937 0.1430 0.7254 1
O1 O 0.0127 0.9612 0.4569 1
O2 O 0.0442 0.1414 0.7392 1
O3 O 0.1115 0.4548 0.0121 1
O4 O 0.1306 0.2207 0.9614 1
O5 O 0.1357 0.7469 0.7588 1
O6 O 0.1667 0.5247 0.6922 1
O7 O 0.2649 0.8779 0.9380 1
O8 O 0.2706 0.6902 0.2788 1
O9 O 0.3864 0.8092 0.4472 1
O10 O 0.3913 0.0242 0.5196 1
O11 O 0.4299 0.3521 0.2073 1
O12 O 0.4341 0.0959 0.1944 1
O13 O 0.4891 0.4400 0.4923 1
O14 O 0.5450 0.6256 0.7334 1
O15 O 0.6209 0.9522 0.0126 1
O16 O 0.6317 0.2539 0.7581 1
O17 O 0.6348 0.7227 0.9542 1
O18 O 0.6903 0.0362 0.6825 1
O19 O 0.7661 0.3809 0.9290 1
O20 O 0.7746 0.1821 0.2731 1
O21 O 0.8833 0.3193 0.4410 1
O22 O 0.8870 0.5187 0.5305 1
O23 O 0.9472 0.8688 0.2039 1
O24 O 0.9534 0.6143 0.1853 1

---

two | # PBE with a Hubbard U Li5Fe8B8O24, optimized geometry
# Symmetry = P1
# Crystal system = triclinic
# Density = 3.31 g/cm³
data_Li5Fe8B8O24
_cell_length_a 5.3033
_cell_length_b 9.0290
_cell_length_c 11.1837
_cell_angle_alpha 66.25
_cell_angle_beta 78.20
_cell_angle_gamma 89.63
_space_group_name_H-M_alt 'P 1'
_space_group_IT_number 1
_space_group_name_Hall 'P 1'
loop_
_atom_site_label
_atom_site_type_symbol
'''
Here the article continues:

Another very important economic thinker who investigated the role of entrepreneurship in political economy was Joseph A. Schumpeter. Schumpeter is best known for his concept of “creative destruction,” presented in his 1942 book Capitalism, Socialism, and Democracy.

Schumpeter pointed out that capitalism involves a perpetual change in the mix of businesses present in a market over time, as new, more-successful firms replace older, less-successful firms, which may have once been profitable, but are no longer under the new market conditions. He dubbed this process of constant turnover “creative destruction.”

Records of crystals from another source follow:
~~~
# Te2MoWS2 | the Materials Project database | PBE | relaxed
data_Te2MoWS2
_cell_length_a 3.355
_cell_length_b 3.355
_cell_length_c 38.572
_cell_angle_alpha 90.00
_cell_angle_beta 90.00
_cell_angle_gamma 120.00
_symmetry_space_group_name_H-M 'P 1'
_symmetry_Int_Tables_number 1
loop_
_symmetry_equiv_pos_as_xyz
'x,y,z'
loop_
_atom_site_label
_atom_site_type_symbol
_atom_site_fract_x
_atom_site_fract_y
_atom_site_fract_z
Mo1 Mo 0.667 0.333 0.906
Mo2 Mo 0.333 0.667 0.094
Te1 Te 0.333 0.667 0.857
Te2 Te 0.667 0.333 0.143
Te3 Te 0.667 0.333 0.045
Te4 Te 0.333 0.667 0.955
S1 S 0.667 0.333 0.758
S2 S 0.333 0.667 0.242
S3 S 0.333 0.667 0.321
S4 S 0.667 0.333 0.679
W1 W 0.333 0.667 0.718
W2 W 0.667 0.333 0.282
# **Size of the total moment**: 0.00 μB/f.u.
# **Offset from the most stable computed form**: 0.002 eV/atom

=====

# 1
Rb2NaSbCl6 (PBE-GGA, relaxed); uncorrected energy = -3.360 eV/atom; ΔE_f = -1.8776 eV/atom; symmetry = Fm-3m, No. 225; total magnetization = 0.00 μB/f.u.
1.0
0.0000 5.4240 5.4240
5.4240 0.0000 5.4240
5.4240 5.4240 0.0000
Rb Sb Cl Na
2 1 6 1
direct
0.7500 0.7500 0.7500
0.2500 0.2500 0.2500
0.0000 0.0000 0.0000
0.2451 0.7549 0.2451
0.7549 0.7549 0.2451
0.2451 0.7549 0.7549
0.7549 0.2451 0.7549
0.7549 0.2451 0.2451
0.2451 0.2451 0.7549
0.5000 0.5000 0.5000



# 2
CuCl2 (PBE-GGA, relaxed); uncorrected energy = -2.909 eV/atom; ΔE_f = -0.7197 eV/atom; symmetry = P4/mmm, No. 123; total magnetization = 0.00 μB/f.u.
1.0
4.5206 0.0000 0.0000
0.0000 4.5206 0.0000
0.0000 0.0000 4.3177
Cl Cu
2 1
direct
0.0000 0.5000 0.0000
0.5000 0.0000 0.0000
0.0000 0.0000 0.0000



# 3
Ti2AlNi (PBE-GGA, relaxed); uncorrected energy = -6.594 eV/atom; ΔE_f = -0.2644 eV/atom; symmetry = F-43m, No. 216; total magnetization = 3.00 μB/f.u.
1.0
0.0000 3.0913 3.0913
3.0913 0.0000 3.0913
3.0913 3.0913 0.0000
Ti Ni Al
2 1 1
direct
0.7500 0.7500 0.7500
0.0000 0.0000 0.0000
0.5000 0.5000 0.5000
0.2500 0.2500 0.2500



# 4
MgNi6Ge6 (PBE-GGA, relaxed); uncorrected energy = -5.189 eV/atom; ΔE_f = -0.2646 eV/atom; symmetry = P6/mmm, No. 191; total magnetization = 0.00 μB/f.u.
1.0
-3.9113 3.2407 -0.4536
4.3773 1.5646 2.1005
2.6153 2.1677 -7.0648
Ge Ni Mg
6 6 1
direct
0.3333 0.6667 0.0000
0.6666 0.3334 0.5000
0.0000 0.0000 0.3395
0.0000 0.0000 0.6605
0.6666 0.3333 0.0000
0.3333 0.6666 0.5000
0.5000 0.0000 0.7509
0.5000 0.5000 0.2492
0.5000 0.5000 0.7508
0.5000 0.0000 0.2491
0.0000 0.5000 0.7508
0.0000 0.5000 0.2492
0.0000 0.0000 0.0000



# 5
HfGe2Rh (PBE-GGA, relaxed); uncorrected energy = -7.279 eV/atom; ΔE_f = -0.6376 eV/atom; symmetry = Pbam, No. 55; total magnetization = 0.00 μB/f.u.
1.0
8.0830 0.0000 0.0000
0.0000 9.3144 0.0000
0.0000 0.0000 10.5667
Hf Ge Rh
12 24 12
direct
0.7560 0.6701 0.9536
0.2440 0.6701 0.9536
0.7560 0.3299 0.0464
0.2440 0.1701 0.5464
0.2440 0.3299 0.0464
0.7560 0.1701 0.5464
0.0000 0.1654 0.8176
0.7560 0.8299 0.4536
0.0000 0.8346 0.1824
0.0000 0.3346 0.3176
0.2440 0.8299 0.4536
0.0000 0.6654 0.6824
0.0000 0.8671 0.9010
0.5000 0.0473 0.3878
~~~

Lastly, we may mention the Austrian economist Israel M. Kirzner, whose book Competition and Entrepreneurship was published in 1973.

In this book, as well as many other writings, Kirzner criticized mainstream economic theory for being preoccupied with mathematical models that assume perfect competition. He pointed out that this practice neglects the important role of the entrepreneur in economic life.

It is interesting to note that Kirzner’s efforts to integrate the phenomenon of entrepreneurship into modern, neoclassical economic theory has been more successful than most other doctrines advanced by proponents of Austrian economics.